Mark and Wedmore Ward
Polly Costello – 01934 713564
Will Human – 01278 641795
Will and Polly were on holiday this month when Full Council was held. The item of business was the retirement of the CEO and his replacement plans. It has been agreed to promote one of the senior officers to the role whilst seeking a successor, which will probably take 6 months. Polly attended the Licensing Committee which discussed seating capacity in licensed taxis in the area.
Mark Parish Council has sent the following response to Sedgemoor District Council objecting to Planning Application 2017/1838/VRC to vary condition 3 of Planning Permission 85439/001 refers from E.J. Godwin Peat Industries Ltd, Burtle Road, Westhay (Chipmunks) for the erection of replacement factory building to enable the building to be used for the storage, processing and manufacturing of horticultural products and wood products for animal bedding and biomass.
Mark Parish Council is equally concerned as the Parish of Burtle about the planning application of EJ Godwin Peat Industries Ltd to vary its application to support its business in Westhay.
Burtle Parish Council has adequately described that the business of Godwins has changed from one of largely extraction of peat to one of multi processes supported by laden HGVs needing to access Westhay.
Mark is on the route regularly used by HGVs transiting between Westhay and the A38 at Brent Knoll and then onto the M5. The route in the Parish runs from River Bridge to Tile House Road across Mark Moor via Butt Lake Road to the Harp Rd junction, across the B3139 and then along Harp Rd to the junction with A38. This route is totally unsuited for the current cohort of HGVs. It is narrow with sharp bends at River Bridge, the River Rd/Tile House bridge junction and a dangerous Z-Bend on Harp Rd bordered by watercourses. The regular HGV traffic has seen an increase in crashes, damage to roads in the Parish, damage to River Bridge, which took months to repair, and a HGV collapsing into the ditch opposite to Riverside Farm. The overall result is County Highways closing the approaches to River Bridge to effect repairs, thereby necessitating a long detour, and deep verges causing damage to cars, in particular, bicycles forced onto verges, and punctured tyres.
Mark Parish Council has previously raised its concerns about the increased HGV risk with County Highways with its County Council Councillor on several occasions – with little positive result. As far as can be determined, there has been no offer of reparation by Godwins to ameliorate the damage caused to local infrastructure.
While Mark Parish Council strongly supports the development of local businesses, this should not be at the expense of significant risk to people and their property and damage to infrastructure. Godwin may claim that the variation is minor, however, acceptance of the application will have a significant impact on the Parish including increased toxicity from diesel-powered HGV traffic, increased mud and dust and raised risks to other vehicles and their occupants. .
Highspeed Communications. The Parish Council has received this letter from a company called TrueSpeed who are looking to install high speed communication to villages, thus:
Please allow me to introduce myself - I am the Director of Business Development for TrueSpeed based just outside Bath.
Here the article breaks off for crystal structures:
********
Rb3FeO3 | GGA+U | relaxed

- calculated total energy (eV/cell) = -129.12
- mass density (Mg/m³) = 3.36
- E_form (eV per atom) = -1.48
- distance to the lowest polymorph of the same formula (kJ/mol of atoms) = 10.6

Unit cell a=12.5011 b=5.0427 c=11.5868 alpha=77.03 beta=90.00 gamma=90.00
Fractional positions:
Rb (0.4151, 0.8952, 0.6388)
Fe (0.1824, 0.1946, 0.7430)
Rb (0.7345, 0.4912, 0.5371)
O (0.5886, 0.7670, 0.8827)
O (0.4114, 0.2330, 0.1173)
O (0.1850, 0.3581, 0.2167)
Fe (0.8176, 0.8054, 0.2570)
O (0.1367, 0.0485, 0.8929)
O (0.9114, 0.7670, 0.3827)
Rb (0.5849, 0.1048, 0.3612)
Rb (0.5105, 0.7300, 0.1233)
Fe (0.6824, 0.8054, 0.7570)
Rb (0.0849, 0.8952, 0.1388)
Fe (0.3176, 0.1946, 0.2430)
Rb (0.0105, 0.2700, 0.3767)
Rb (0.7655, 0.4912, 0.0371)
Rb (0.2655, 0.5088, 0.4629)
O (0.3633, 0.0485, 0.3929)
O (0.8633, 0.9515, 0.1071)
O (0.0886, 0.2330, 0.6173)
O (0.8150, 0.6419, 0.7833)
Rb (0.4895, 0.2700, 0.8767)
Rb (0.2345, 0.5088, 0.9629)
Rb (0.9151, 0.1048, 0.8612)
O (0.3150, 0.3581, 0.7167)
O (0.6850, 0.6419, 0.2833)
O (0.6367, 0.9515, 0.6071)
Rb (0.9895, 0.7300, 0.6233)

=====

TiMn3O8 | GGA+U | relaxed

- calculated total energy (eV/cell) = -90.32
- mass density (Mg/m³) = 3.84
- E_form (eV per atom) = -2.15
- distance to the lowest polymorph of the same formula (kJ/mol of atoms) = 3.2

Unit cell a=5.9692 b=5.9692 c=5.9692 alpha=59.13 beta=59.13 gamma=59.13
Fractional positions:
O (0.2347, 0.2347, 0.7265)
Mn (0.5000, 0.0000, 0.5000)
O (0.7653, 0.2735, 0.7653)
O (0.7319, 0.7319, 0.7319)
Mn (0.5000, 0.5000, 0.0000)
O (0.7653, 0.7653, 0.2735)
O (0.2347, 0.7265, 0.2347)
O (0.2681, 0.2681, 0.2681)
Mn (0.0000, 0.5000, 0.5000)
O (0.7265, 0.2347, 0.2347)
Ti (0.0000, 0.0000, 0.0000)
O (0.2735, 0.7653, 0.7653)

=====

Ba2Mn4Tl2Zn3O12 | GGA+U | relaxed

- calculated total energy (eV/cell) = -132.95
- mass density (Mg/m³) = 6.30
- E_form (eV per atom) = -1.72

Unit cell a=3.8491 b=3.8491 c=23.1472 alpha=94.77 beta=94.77 gamma=90.00
Fractional positions:
Zn (0.0792, 0.0792, 0.1585)
O (0.4697, 0.9697, 0.9393)
Tl (0.2751, 0.2751, 0.5503)
O (0.0968, 0.5968, 0.1935)
O (0.0303, 0.5303, 0.0607)
Ba (0.8360, 0.8360, 0.6720)
O (0.4032, 0.9032, 0.8065)
O (0.3459, 0.3459, 0.6918)
O (0.5303, 0.0303, 0.0607)
Mn (0.4640, 0.4640, 0.9281)
Mn (0.3905, 0.3905, 0.7810)
Zn (0.9208, 0.9208, 0.8415)
Ba (0.1640, 0.1640, 0.3280)
O (0.9697, 0.4697, 0.9393)
O (0.2214, 0.2214, 0.4428)
Zn (0.0000, 0.0000, 0.0000)
Tl (0.7249, 0.7249, 0.4497)
O (0.5968, 0.0968, 0.1935)
Mn (0.6095, 0.6095, 0.2190)
O (0.7786, 0.7786, 0.5572)
O (0.6541, 0.6541, 0.3082)
O (0.9032, 0.4032, 0.8065)
Mn (0.5360, 0.5360, 0.0719)

=====

NaAl5FeP4H10O24 | GGA+U | relaxed

- calculated total energy (eV/cell) = -586.81
- mass density (Mg/m³) = 2.95
- E_form (eV per atom) = -2.43

Unit cell a=5.0985 b=12.9115 c=13.6507 alpha=110.57 beta=90.00 gamma=101.39
Fractional positions:
O (0.1998, 0.1500, 0.5668)
O (0.7971, 0.0424, 0.4018)
H (0.5484, 0.3094, 0.5223)
O (0.5368, 0.1601, 0.3415)
O (0.0359, 0.1835, 0.3260)
********
TrueSpeed are a new age ISP who invest in communities by building brand new physical communication networks and operate the service over the top of them - we have recently received funding of £75m to help us grow our network right across the South West. Unlike BT Open reach, we only deliver Fibre to the Premises (FTTP) technology which means that our ultrafast network is much quicker (guaranteed speeds of 100Mb/s down and 100 Mb/s up is our lowest package). This makes us a future proof solution so we can easily provide more to our customers before they need it - something that copper networks cannot do.
We are providing a network to Badgworth, Biddisham, Stone Allerton and Chapel Allerton which is why I am getting in touch with you; we would like to expand this network to encompass more of the surrounding areas including Mark and Watchfield. We would like to hold a Question and Answer session with the communities in the village halls so that people can learn more about us and ask us any broadband questions they may have.
The Parish Council has invited Truespeed to the Parish Council on 5 September to discuss this matter.
The next Parish Council Meeting will be held at the Village Hall beginning at 7.30pm on Tuesday 5 September 2017. Members of the public are invited.
Nick van der Bijl
Mark Parish Council